By Judith Kristen, AAP Columnist
Two very significant rites of passage took place on two consecutive nights.
On Thursday, June 18, 2015, came the arrival of Howard M. Phifer’s Middle School eighth grade promotion exercises; and Friday, June 19, delivered our own Pennsauken High School’s graduation program – celebrating the Class of 2015.
Both schools had high hopes for a sunny outdoor procession, but Mother Nature had other plans. However, even Mother Nature knows there are certain kinds of inner sunshine over which she has no control at all.
Phifer’s eighth grade graduation was a delight to behold. A packed gymnasium filled with friends and family watched as all 395 students walked by in a carefully-paced procession, leaving their early youth behind and taking that giant leap of joy and faith moving on into four years of high school life.
Records of crystals that have nothing to do with the page:
=====
The following is a theoretical PXRD pattern of Li3AlMo2As2O14. It was derived from a structure optimized by DFT (PBE+U), using copper Kα.

Crystal structure
a b c (Å): 5.273 5.493 9.606
angles (deg): 96.83 102.04 105.46
Sites, in units of the cell vectors:
Li  0.000  0.000  0.000
Li  0.194  0.884  0.319
Li  0.806  0.116  0.681
Al  0.500  0.500  0.500
Mo  0.492  0.338  0.853
Mo  0.508  0.662  0.147
As  0.151  0.728  0.674
As  0.849  0.272  0.326
O  0.134  0.303  0.459
O  0.134  0.482  0.768
O  0.157  0.007  0.788
O  0.284  0.838  0.097
O  0.322  0.337  0.035
O  0.430  0.793  0.602
O  0.443  0.632  0.324
O  0.557  0.368  0.676
O  0.570  0.207  0.398
O  0.678  0.663  0.965
O  0.716  0.162  0.903
O  0.843  0.993  0.212
O  0.866  0.518  0.232
O  0.866  0.697  0.541

Peak list (12 most intense, 10 to 80 degrees two-theta, low angle first)
2θ (°)	I (rel.)	(hkl)
17.04	50	0 1 0
18.03	35	1 0 0
18.18	100	1 0 -1
23.27	84	0 1 -2
23.52	82	1 -1 1
27.44	30	1 1 -1
28.12	61	0 1 2
28.46	33	1 1 0
30.14	48	1 0 -3
34.76	32	-1 1 3
35.36	23	2 -1 0
35.72	31	-1 2 1

=====

Starting from DFT lattice parameters and positions (PBE), the powder XRD pattern of Ce2CdGePb was simulated for a wavelength of 1.5418 Å.

Structural model:
```
Ce2CdGePb
1.0
4.481 0.000 0.000
0.000 4.481 0.000
0.000 0.000 14.121
Ce Cd Ge Pb
4 2 2 2
Cartesian
1.120 1.120 1.458
1.120 1.120 9.747
3.361 3.361 4.374
3.361 3.361 12.663
1.120 3.361 7.060
3.361 1.120 7.060
1.120 1.120 12.614
3.361 3.361 1.507
1.120 1.120 4.875
3.361 3.361 9.246
```

Principal peaks in the range 15° ≤ 2θ ≤ 90°, in order of falling intensity:
2theta, I/Imax, h k l
28.2, 100.0, 1 1 0
38.2, 95.6, 1 1 4
40.2, 89.2, 2 0 0
34.1, 79.0, 1 1 3
31.7, 45.4, 0 0 5
30.9, 45.0, 1 1 2
52.1, 44.1, 2 0 5
71.8, 31.7, 3 1 4

=====

Theoretical XRD peak list
Compound: YAu
Radiation: Cu Kα (λ = 1.5418 Å)
Structure: a cell relaxed with GGA-PBE
Kinematic intensities with the Lorentz-polarization factor, no thermal factor.

Peak list (10 most intense, 15° ≤ 2θ ≤ 90°, low angle first)
hkl 0 2 0, d = 5.535 Å, rel. 21; hkl 0 2 1, d = 3.583 Å, rel. 20; hkl 1 1 0, d = 3.538 Å, rel. 32; hkl 1 1 1, d = 2.827 Å, rel. 90; hkl 0 4 0, d = 2.767 Å, rel. 29; hkl 0 4 1, d = 2.385 Å, rel. 35; hkl 0 0 2, d = 2.350 Å, rel. 38; hkl 1 3 1, d = 2.292 Å, rel. 100; hkl 2 0 0, d = 1.867 Å, rel. 19; hkl 1 3 3, d = 1.345 Å, rel. 19

Structural model:
```
data_YAu
_space_group_name_H-M_alt 'C m c m'
_space_group_IT_number 63
_space_group_name_Hall '-C 2c 2'
_cell_length_a 3.734
_cell_length_b 11.070
_cell_length_c 4.701
_cell_angle_alpha 90.00
_cell_angle_beta 90.00
_cell_angle_gamma 90.00
loop_
_atom_site_label
_atom_site_fract_x
_atom_site_fract_y
_atom_site_fract_z
Y1 0.000 0.139 0.250
Au1 0.000 0.413 0.250
```


Theoretical XRD peak list
Compound: Y3Zn2Au4
Radiation: Cu Kα (λ = 1.5418 Å)
Structure: a cell relaxed with GGA-PBE
Kinematic intensities with the Lorentz-polarization factor, no thermal factor.

Peak list (10 most intense, 15° ≤ 2θ ≤ 90°, low angle first)
=====
Here the page continues:
“Pomp and Circumstance” filled the air. Students smiled and their families and friends smiled right along with them. Pride was wall to wall.
Mr. Michael Kaufman then led the orchestra in “The Star Spangled Banner,” which was immediately followed by president of the National Junior Honor Society, Ngan Chiem, leading the audience and her fellow students, in the Pledge of Allegiance. A welcome to all was presented by Sana Farhat, representative of the Student Council.

The student awards were presented that evening by assistant principals Tanya Harmon and Susan Galloza, as well as eighth grade guidance counselor Dennis Sherwood. There were 22 awards in all with over 59 recipients, from the Howard M. Phifer “Profile in Courage” Award, received by Jade DiSanti, to the Howard M. Phifer Leadership Award, given to Sana Farhat. The crowd was on its feet, cheering for each and every single award winner.
Phifer principal Thomas P. Honeyman gave his official introduction of students; once again, the crowd roared with applause. The air was electric.
Mr. Honeyman was followed by Dr. James Chapman, superintendent of the Pennsauken School District, who then gave his own personal touch to the presentation of the class. Again, the crowd was most joyous and appreciative.
Acceptance of the class by Board of Education member Dung Nguyen was followed by a performance of “Imperium,” under the musical direction of Michael Kaufman. And then all too soon – yet not soon enough – the Howard M. Phifer’s Middle School Class of 2015 became the Pennsauken High School Graduating Class of 2019.
On the next day, Friday, June 19, there came a different kind of high school graduating class, that of our own Pennsauken High School: the Class of 2015.
As I made my way through the parking lot of the school, I found myself saying, “Hello!” and “Congratulations!” to a few hundred family members and students. I was wrapped up in the enthusiasm of it all. On my way to the gymnasium where the ceremony took place, I asked many of the soon-to-be graduates, “So, how are you feeling about tonight?” Their answers were many, but they all conveyed the same message:
“I feel GREAT!”
“This is the best day EVER!”
Those feelings come with a strong sense of accomplishment and pride for their new station in life. And they do indeed have a great deal for which to be proud.
And precisely at 6:30 p.m., that new position in life became apparent, as the sounds of “Pomp and Circumstance” filtered throughout the building. The proud audience stood as they watched their child, stepchild, grandson, granddaughter, niece, nephew, Godchild, or friend walk with a joy in their heart to their seats behind the dais, awaiting those words, “You are now graduates of Pennsauken High School: the Class of 2015!”
Following the procession, the audience remained standing for our National Anthem. The vocalists for our beautiful “Star Spangled Banner” were the members of the Pennsauken High School Double Dozen.
Soon, everyone was seated once more and Dr. James Chapman took over the podium for the presentation of the Class of 2015. That was followed by Pennsauken School Board President Nicholas Perry’s acceptance of the Class of 2015. Both gentlemen gave moving speeches, filled with hope, encouragement, and humor.
Once again, the Double Dozen took their places and beautifully performed a song called, “For Good.” Applause rang out and the singers smiled in acknowledgment.
The standard student welcome, given by Quyen Le, was also well received with additional applause and cheers. Ms. Le was followed by valedictorian Lee Kim Phan, class president Reginald Boateng, and class salutatorian Nikolas Alvelo. All spoke to their peers and families and friends in attendance, talking about pride in their accomplishments, the road ahead, never giving up, and the change for better that they hoped to create for our world.
Principal Tameka Matthews then came to the dais for the official introduction of the Class of 2015.
Here the piece breaks off for calculated crystals
____________
This entry pairs a crystal structure of Pm3InSb with its computed powder diffractogram. Radiation: Cu Kα (weighted mean of Kα1 and Kα2). Structure: a cell relaxed with GGA-PBE.
No peak broadening, texture or thermal motion is included.

Structural model:
Lattice parameters (Å, degrees): 4.6877 11.4527 11.4527 149.59 90.00 90.00
Positions (direct):
Pm (0.2500, 0.0471, 0.9529)
Pm (0.2500, 0.4307, 0.5763)
Pm (0.2500, 0.4366, 0.9723)
Pm (0.7500, 0.5763, 0.4307)
Pm (0.7500, 0.9529, 0.0471)
Pm (0.7500, 0.9723, 0.4366)
In (0.2500, 0.8901, 0.1757)
In (0.7500, 0.1757, 0.8901)
Sb (0.2500, 0.8344, 0.5003)
Sb (0.7500, 0.5003, 0.8344)

The 10 most intense peaks (10° ≤ 2θ ≤ 80°), sorted by position:
2θ/deg  I (rel.)
26.99  27
29.74  11
30.85  42
31.55  100
36.44  13
38.41  26
47.73  11
50.04  15
51.12  11
65.20  12



This entry pairs a crystal structure of La6GeTe5 with its computed powder diffractogram. Radiation: Cu Kα (weighted mean of Kα1 and Kα2). Structure: a cell relaxed with GGA-PBE.
No peak broadening, texture or thermal motion is included.

Structural model:
Lattice parameters (Å, degrees): 7.9007 7.9007 7.9143 99.56 99.56 119.91
Positions (direct):
La (0.0783, 0.3943, 0.7368)
La (0.2342, 0.2342, 0.2591)
La (0.3943, 0.0783, 0.7368)
La (0.6057, 0.9217, 0.2632)
La (0.7658, 0.7658, 0.7409)
La (0.9217, 0.6057, 0.2632)
Ge (0.0000, 0.0000, 0.5000)
Te (0.1728, 0.8272, 0.0000)
Te (0.3345, 0.6655, 0.5000)
Te (0.5000, 0.5000, 0.0000)
Te (0.6655, 0.3345, 0.5000)
Te (0.8272, 0.1728, 0.0000)

The 10 most intense peaks (10° ≤ 2θ ≤ 80°), sorted by position:
2θ/deg  I (rel.)
27.63  100
39.46  63
39.53  12
48.80  13
48.91  13
57.05  12
64.44  6
64.56  27
71.51  12
71.66  12



This entry pairs a crystal structure of PmAg2RuO6 with its computed powder diffractogram. Radiation: Cu Kα (weighted mean of Kα1 and Kα2). Structure: a cell relaxed with GGA-PBE.
No peak broadening, texture or thermal motion is included.

Structural model:
Lattice parameters (Å, degrees): 5.6990 5.7041 9.9510 90.00 124.11 90.00
Positions (direct):
Pm (0.0000, 0.0000, 0.0000)
Pm (0.0000, 0.5000, 0.5000)
Ag (0.2438, 0.0214, 0.7488)
Ag (0.2438, 0.4786, 0.2488)
Ag (0.7562, 0.5214, 0.7512)
Ag (0.7562, 0.9786, 0.2512)
Ru (0.5000, 0.0000, 0.5000)
Ru (0.5000, 0.5000, 0.0000)
O (0.1883, 0.0541, 0.2759)
O (0.1883, 0.4459, 0.7759)
O (0.2459, 0.6522, 0.0412)
O (0.2459, 0.8478, 0.5412)
O (0.4076, 0.2065, 0.0531)
O (0.4076, 0.2935, 0.5531)
O (0.5924, 0.7065, 0.4469)
O (0.5924, 0.7935, 0.9469)
O (0.7541, 0.1522, 0.4588)
O (0.7541, 0.3478, 0.9588)
O (0.8117, 0.5541, 0.2241)
O (0.8117, 0.9459, 0.7241)

The 10 most intense peaks (10° ≤ 2θ ≤ 80°), sorted by position:
2θ/deg  I (rel.)
30.88  97
31.20  95
31.38  100
43.96  26
44.97  43
54.99  22
55.38  30
55.53  19
55.73  20
55.97  23



This entry pairs a crystal structure of TbBiPd5 with its computed powder diffractogram. Radiation: Cu Kα (weighted mean of Kα1 and Kα2). Structure: a cell relaxed with GGA-PBE.
____________
End of the calculated crystals
And then, in what now seems like the blink of an eye, 12 years of schooling passed, and each year unfolded with that most cherished awarding of their class diplomas.
Following that came the traditional transfer of the class flag by Ebony Kinder and Tameeka Wright, both senior advisors.
Then once again, as it had begun just an hour or so earlier, the Pennsauken High School Concert Band started the official recessional music that celebrated all 331 students: the proud, the joyous, and hope for our future that is Pennsauken High School’s Class of 2015.
So, there we are: one eighth grade graduation, and one high school graduation. One just starting that road to higher learning, the hallowed halls of high school, looking forward to the new friends they’ll make, the wonderful teachers they will remember for a lifetime, and those amazing junior and senior proms. And then, somewhere not so far down the road after all that, comes a night quite like the one just experienced for the Pennsauken High School Class of 2015. A road that only they can travel. Where it will lead is up to each individual. A road with some tough choices and some easy ones; some obvious, some not so obvious.
And so, dear graduates, you have your diplomas. You may choose to think of it as an ongoing process in learning, or maybe the ticket to ride to the good life. But if you think about the bigger picture, take that education, that hope, compassion, and joy, and turn that into a ticket of your own making – a ticket to change the world.
We’re counting on you! And you know you can do it. So do we.
Congratulations to the Classes of 2015!